Exploring Nonpeptide Peptidomimetics: Unlocking the Potential of Protein-Protein Interactions
Proteins play a crucial role in various biological processes, and the interactions between proteins are essential for proper cellular functions. Protein-protein interactions (PPI) have been the subject of extensive research in the field of drug discovery, as they offer promising targets for therapeutic interventions. In recent years, nonpeptide peptidomimetics have emerged as a fascinating class of compounds that can mimic the interactions between proteins. This blog will delve into the world of nonpeptide peptidomimetics and their potential in targeting PPIs.
Understanding Protein-Protein Interactions
Data records, as found in the file:
+++
Diffraction record for Li9Mn2Co5O16. The XRD peak list is simulated, not measured: it uses a DFT-relaxed cell (PBE+U, the Materials Project) and λ = 1.5418 Å (Cu Kα).
Lines closer than 0.1° are merged.

Structural model:
```
data_Li9Mn2Co5O16
_cell_length_a 2.941
_cell_length_b 10.143
_cell_length_c 10.628
_cell_angle_alpha 113.78
_cell_angle_beta 94.97
_cell_angle_gamma 92.45
_space_group_name_H-M_alt 'P 1'
_space_group_IT_number 1
loop_
_space_group_symop_operation_xyz
'x,y,z'
loop_
_atom_site_label
_atom_site_type_symbol
_atom_site_fract_x
_atom_site_fract_y
_atom_site_fract_z
Li1 Li 0.000 0.000 0.000
Li2 Li 0.003 0.506 0.001
Li3 Li 0.134 0.441 0.256
Li4 Li 0.229 0.381 0.492
Li5 Li 0.242 0.872 0.495
Li6 Li 0.487 0.256 0.001
Li7 Li 0.497 0.752 0.999
Li8 Li 0.734 0.616 0.486
Li9 Li 0.750 0.125 0.501
Mn1 Mn 0.368 0.814 0.747
Mn2 Mn 0.611 0.194 0.249
Co1 Co 0.108 0.936 0.245
Co2 Co 0.368 0.314 0.749
Co3 Co 0.623 0.679 0.246
Co4 Co 0.869 0.063 0.746
Co5 Co 0.869 0.564 0.749
O1 O 0.041 0.730 0.137
O2 O 0.076 0.215 0.138
O3 O 0.145 0.149 0.354
O4 O 0.211 0.662 0.362
O5 O 0.300 0.598 0.633
O6 O 0.303 0.096 0.631
O7 O 0.434 0.532 0.862
O8 O 0.435 0.030 0.862
O9 O 0.531 0.979 0.137
O10 O 0.561 0.496 0.133
O11 O 0.680 0.387 0.365
O12 O 0.696 0.894 0.355
O13 O 0.775 0.849 0.629
O14 O 0.801 0.345 0.635
O15 O 0.943 0.281 0.865
O16 O 0.964 0.781 0.868
```

Most intense lines, 10° ≤ 2θ ≤ 80°, most intense first:
- 18.36°, I 100
- 42.11°, I 32
- 43.83°, I 27
- 44.64°, I 26
- 34.98°, I 17
- 36.06°, I 13
- 36.71°, I 12
- 64.86°, I 9
+++
Protein-protein interactions are involved in various cellular processes, including signal transduction, enzymatic reactions, and immune responses. Dysregulation of PPIs is associated with a range of diseases, including cancer, neurodegenerative disorders, and viral infections. However, PPIs have traditionally been challenging to target with small molecules due to their large and flexible binding sites.
The Rise of Nonpeptide Peptidomimetics
Nonpeptide peptidomimetics are synthetic compounds designed to resemble the structural and functional properties of native peptides. These molecules mimic the key interactions between protein partners, allowing for the modulation of PPIs. Unlike traditional small molecule inhibitors, nonpeptide peptidomimetics offer several advantages, including enhanced selectivity, improved pharmacokinetic properties, and increased stability against proteolytic degradation.
Key Points
Materials data, kept here for reference =
/*
[1]
# AcCd2Pt2
Calculated powder X-ray diffraction pattern, Cu Ka. Input: the PBE geometry in Alexandria.

Largest 8 diffraction maxima, in order of falling intensity, 2θ = 10–90°:
d/Å, Position (°2θ), I_rel
2.723, 32.9, 100
2.582, 34.7, 81
2.120, 42.7, 55
1.638, 56.1, 42
1.932, 47.0, 31
2.998, 29.8, 28
1.428, 65.3, 24
1.313, 71.9, 21

Cell and atoms:
```
data_AcCd2Pt2
_chemical_formula_sum 'Ac1 Cd2 Pt2'
_space_group_name_H-M_alt 'P 1'
_space_group_IT_number 1
_cell_length_a 4.2396
_cell_length_b 4.2396
_cell_length_c 6.5121
_cell_angle_alpha 90.00
_cell_angle_beta 90.00
_cell_angle_gamma 90.00
loop_
_space_group_symop_operation_xyz
'x,y,z'
loop_
_atom_site_label
_atom_site_type_symbol
_atom_site_fract_x
_atom_site_fract_y
_atom_site_fract_z
Ac1 Ac 0.0000 0.0000 0.0000
Cd1 Cd 0.0000 0.5000 0.5000
Cd2 Cd 0.5000 0.0000 0.5000
Pt1 Pt 0.5000 0.5000 0.2045
Pt2 Pt 0.5000 0.5000 0.7955
```

[2]
# Ac2CdPt3
Calculated powder X-ray diffraction pattern, Cu Ka. Input: the PBE geometry in Alexandria.

Largest 8 diffraction maxima, in order of falling intensity, 2θ = 10–90°:
d/Å, Position (°2θ), I_rel
2.905, 30.8, 100
2.818, 31.8, 60
2.286, 39.4, 57
2.434, 36.9, 36
1.842, 49.5, 35
1.525, 60.7, 33
2.047, 44.3, 21
1.566, 59.0, 18

Cell and atoms:
```
data_Ac2CdPt3
_chemical_formula_sum 'Ac4 Cd2 Pt6'
_space_group_name_H-M_alt 'P 1'
_space_group_IT_number 1
_cell_length_a 9.1678
_cell_length_b 8.7817
_cell_length_c 6.3596
_cell_angle_alpha 72.54
_cell_angle_beta 66.03
_cell_angle_gamma 41.43
loop_
_space_group_symop_operation_xyz
'x,y,z'
loop_
_atom_site_label
_atom_site_type_symbol
_atom_site_fract_x
_atom_site_fract_y
_atom_site_fract_z
Ac1 Ac 0.2414 0.7586 0.7586
Ac2 Ac 0.2500 0.2500 0.2500
Ac3 Ac 0.7500 0.7500 0.7500
Ac4 Ac 0.7586 0.2414 0.2414
Cd1 Cd 0.3318 0.3318 0.6682
Cd2 Cd 0.6682 0.6682 0.3318
Pt1 Pt 0.1574 0.1574 0.8426
Pt2 Pt 0.1652 0.6593 0.3407
Pt3 Pt 0.3407 0.8348 0.1652
Pt4 Pt 0.6593 0.1652 0.8348
Pt5 Pt 0.8348 0.3407 0.6593
Pt6 Pt 0.8426 0.8426 0.1574
```

=====

Structure and theoretical powder XRD pattern of CaSeO3 (a DFT-relaxed cell (GGA-PBE, the Materials Project); Cu Kα (weighted mean of Kα1 and Kα2)).
Intensities are scaled so that the largest is 100.

Peak list (10 most intense, 15° ≤ 2θ ≤ 90°, most intense first)
Position (°2θ)  d/Å  I_rel  index
30.08  2.971  100.0  1 2 1
27.48  3.246  30.8  2 0 0
50.23  1.816  25.9  3 2 1
56.88  1.619  20.8  1 2 3
32.80  2.730  17.2  0 0 2
21.26  4.179  17.1  1 0 1
43.30  2.089  16.8  2 0 2
51.64  1.770  15.7  2 4 0
29.48  3.030  12.7  2 1 0
62.54  1.485  10.7  2 4 2

Atomic structure:
Unit cell a=6.492 b=8.447 c=5.461 alpha=90.00 beta=90.00 gamma=90.00
Space group Pnma (No. 62)
Asymmetric unit:
Ca1 0.000 0.000 0.000 x4
Se1 0.026 0.250 0.482 x4
O1 0.073 0.250 0.795 x4
O2 0.170 0.092 0.371 x8

=====

Starting from the PBE geometry in the Materials Project, the X-ray diffraction stick pattern of Te2AuI was computed for Cu Ka.

Cell and atoms:
a b c (Å): 12.9785 4.1402 4.8256
*/
End of the materials data =
- Structure and Design: Nonpeptide peptidomimetics are designed based on the knowledge of the protein target’s structure and the critical residues involved in the interaction. Various strategies, such as scaffolds, fragments, and chemical modifications, are employed to create compounds that mimic the binding interface.
- Targeting Challenging PPIs: Nonpeptide peptidomimetics provide a viable solution for targeting difficult-to-reach PPIs. Their ability to mimic intricate protein interactions enables the development of novel therapeutics against diseases that were previously considered undruggable.
Attached: data records.
+++
Structure and calculated X-ray powder pattern of Na4PmHo3Te8 (DFT lattice parameters and positions (PBE); a wavelength of 1.5418 Å).
Neutral-atom scattering factors, no anomalous dispersion.

Crystal structure
a = 8.8816 Å, b = 8.8816 Å, c = 22.6991 Å
α = 90.00°, β = 90.00°, γ = 120.00°
Space group R-3m (No. 166, hexagonal axes)
Symmetry-distinct sites (fractional):
1 Na 0.0000 0.0000 0.0000 x3
2 Na 0.0000 0.5000 0.0000 x9
3 Pm 0.0000 0.0000 0.5000 x3
4 Ho 0.0000 0.5000 0.5000 x9
5 Te 0.0000 0.0000 0.2434 x6
6 Te 0.0060 0.5030 0.7555 x18

Principal peaks in the range 2θ = 15–90°, low angle first:
- d = 3.184 Å, 28.03°, intensity 100, (0 2 4)
- d = 2.283 Å, 39.47°, intensity 38, (2 0 8)
- d = 2.220 Å, 40.63°, intensity 37, (2 2 0)
- d = 1.821 Å, 50.11°, intensity 26, (4 0 4)
- d = 1.440 Å, 64.74°, intensity 17, (2 2 12)
- d = 1.408 Å, 66.40°, intensity 19, (2 4 4)

=====

Structure and calculated X-ray powder pattern of Na3Pr2HoS6 (DFT lattice parameters and positions (PBE); a wavelength of 1.5418 Å).
Neutral-atom scattering factors, no anomalous dispersion.

Crystal structure
a = 7.102 Å, b = 12.301 Å, c = 7.104 Å
α = 90.00°, β = 109.49°, γ = 90.00°
Space group C2/m (No. 12)
Symmetry-distinct sites (fractional):
1 Na 0.000 0.000 0.000 x2
2 Na 0.000 0.334 0.000 x4
3 Pr 0.000 0.167 0.500 x4
4 Ho 0.000 0.500 0.500 x2
5 S 0.238 0.339 0.732 x8
6 S 0.245 0.500 0.270 x4

Principal peaks in the range 2θ = 15–90°, low angle first:
- d = 3.497 Å, 25.47°, intensity 42, (1 3 0)
- d = 3.348 Å, 26.62°, intensity 37, (0 0 2)
- d = 2.900 Å, 30.84°, intensity 100, (1 3 1)
- d = 2.050 Å, 44.17°, intensity 71, (0 6 0)
- d = 1.674 Å, 54.84°, intensity 24, (4 0 0)
- d = 1.297 Å, 72.95°, intensity 30, (4 6 0)

=====

Structure and calculated X-ray powder pattern of Na2Pr3HoS6 (DFT lattice parameters and positions (PBE); a wavelength of 1.5418 Å).
Neutral-atom scattering factors, no anomalous dispersion.

Crystal structure
a = 7.041 Å, b = 12.181 Å, c = 7.009 Å
α = 90.00°, β = 109.44°, γ = 90.00°
Space group C2/m (No. 12)
Symmetry-distinct sites (fractional):
1 Na 0.000 0.166 0.000 x4
2 Pr 0.000 0.000 0.500 x2
3 Pr 0.000 0.329 0.500 x4
4 Ho 0.000 0.500 0.000 x2
5 S 0.240 0.500 0.753 x4
6 S 0.242 0.339 0.241 x8

Principal peaks in the range 2θ = 15–90°, low angle first:
- d = 3.316 Å, 26.89°, intensity 41, (2 0 0)
- d = 2.869 Å, 31.17°, intensity 100, (2 0 -2)
- d = 2.031 Å, 44.62°, intensity 48, (2 0 2)
- d = 2.025 Å, 44.76°, intensity 24, (1 3 -3)
- d = 1.732 Å, 52.88°, intensity 15, (3 3 1)
- d = 1.284 Å, 73.81°, intensity 15, (5 3 -3)

* * * * *

This entry pairs a crystal structure of Ca3Co2Si4O14 with its calculated PXRD pattern. Radiation: Cu Ka. Structure: a structure optimized by DFT (PBE+U).
Kinematic intensities with the Lorentz-polarization factor, no thermal factor.

Most intense lines, 10 to 80 degrees two-theta, sorted by position:
2θ/deg	I/Imax	index
11.24	62.9	1 1 0
17.24	100.0	0 0 1
23.90	43.7	2 0 1
28.19	51.1	2 2 -1
28.93	63.3	2 2 1
30.11	62.6	3 1 -1
+++
- Case Studies: Several nonpeptide peptidomimetics have shown promise in preclinical and clinical studies. For example, stapled peptides, which are a type of nonpeptide peptidomimetics, have demonstrated success in inhibiting PPIs involved in cancer progression.
- Advances in Drug Discovery: The exploration of nonpeptide peptidomimetics has provided invaluable insights into the field of drug discovery. Insights gained from studying these compounds can be applied to the development of novel PPI-targeting therapeutics and the improvement of existing drug design strategies.
Nonpeptide peptidomimetics have revolutionized the field of drug discovery, particularly in targeting protein-protein interactions. Their unique ability to mimic the interactions between proteins has opened up new possibilities for developing therapeutics against diseases once considered untreatable. As we continue to uncover the intricacies of PPIs and refine our knowledge of nonpeptide peptidomimetics, the future of drug development holds immense promise in unlocking the potential of these compounds.